Guideline for papers presentation

To make uniform the criteria for evaluating the works presented at the LMHI Congresses is an old aspiration of all who have already worked as scientific coordinators for these congresses. This section opens all related discussions with the following suggestions prepared by Maria Lara. After reading the following text, please send us your opinions and views.

General guidelines for paper presentations

  • The summary or abstract must be in the right format for uniform publication, that will be stablished by the organizing committee of the respective organizing committee. Ideally the abstract should include: objective(s) of study, methodology used, results, conclusions.
  • Ideally if possible, presentations should have some audiovisual support (slides, overhead transparencies, films etc) appropriate for the theme addressed. For case presentations I would suggest a format of at least one overhead transparencies with brief summary of : Demographic of patient (age, sex, place of birth), Reason of medical visit, Medical diagnosis, Past and present history etc, what ever else the speakers feels could contribute to clarify the picture of the patient. This may be helpful while the speakers reads the case. Any other means such as vides are also very informative in the case presentations. The format for other presentations will vary according to theme treated. The important thing is to have the audiovisual support.

Criteria for acceptance of research or clinical cases in the LMHI meetings:

  1. Presentation format. Must follow guidelines established by meeting organizers;
  2. Originality;
  3. Methodology: the use of proper methodology appropriate for study subjetc (cuantitative or cualitative);
  4. Creativity of study design;
  5. Relevance and importance of study to advance the understanding of homeopathy or the contributions to optimize the clinical practice of homeopathy.

Priorities in basic research in homeopathy:

  1. Hypothesis-driven research: searching for mechanism of action of homeopathy;
  2. Studies in cinical trials that include biological markers that may be modified by homeopathy;
  3. In vitro and/or In vivo studies with animals that provide insights as of mechanism of action of certain remedies.

Priorities in Clinical Research:

Someone pasted data records at this point:
DFT (PBE-GGA) results for a geometry-optimized Pa2AuC2N6 structure.

raw total energy: -0.32444 Ha/atom
SG: P-1 (2)
spin magnetization: 0.84 Bohr magnetons per cell
calculated volume: 148 Å³/f.u.

abc: 5.193 5.858 5.897
angles: 112.70 104.55 104.13
Sites, in units of the cell vectors:
Pa1 0.242 0.129 0.348
Pa2 0.758 0.871 0.652
Au1 0.500 0.500 0.000
C1 0.252 0.769 0.729
C2 0.748 0.231 0.271
N1 0.152 0.852 0.925
N2 0.247 0.886 0.567
N3 0.368 0.576 0.686
N4 0.632 0.424 0.314
N5 0.753 0.114 0.433
N6 0.848 0.148 0.075

=====

The following is a PBE calculation of a relaxed structure of Cr6Ni23Mo, from the Alexandria database.

a b c (Å): 7.0498 8.6097 8.6097
angles (deg): 48.34 65.83 65.83
With the nearest neighbours (Å) after each atom.
Positions (direct):
Cr 0.7548 0.7548 0.2452  11 Ni 2.44-2.56, 1 Mo 2.54
Cr 0.2452 0.2452 0.7548  11 Ni 2.44-2.56, 1 Mo 2.54
Cr 0.7492 0.2508 0.2508  12 Ni 2.46-2.49
Cr 0.2508 0.7492 0.7492  12 Ni 2.46-2.49
Cr 0.7548 0.2452 0.7548  11 Ni 2.44-2.56, 1 Mo 2.54
Cr 0.2452 0.7548 0.2452  11 Ni 2.44-2.56, 1 Mo 2.54
Ni 0.6221 0.1274 0.1275  8 Ni 2.46-2.51, 3 Cr 2.47-2.49
Ni 0.3779 0.8726 0.8725  8 Ni 2.46-2.51, 3 Cr 2.47-2.49
Ni 0.1275 0.1230 0.6221  8 Ni 2.46-2.51, 3 Cr 2.47-2.49
Ni 0.1230 0.1275 0.1274  8 Ni 2.46-2.51, 3 Cr 2.47-2.49
Ni 0.8725 0.8770 0.3779  8 Ni 2.46-2.51, 3 Cr 2.47-2.49
Ni 0.8770 0.8725 0.8726  8 Ni 2.46-2.51, 3 Cr 2.47-2.49
Ni 0.1274 0.6221 0.1230  8 Ni 2.46-2.51, 3 Cr 2.47-2.49
Ni 0.8726 0.3779 0.8770  8 Ni 2.46-2.51, 3 Cr 2.47-2.49
Ni 0.5000 0.5000 0.0000  8 Ni 2.44-2.46, 2 Cr 2.49
Ni 0.0000 0.0000 0.5000  8 Ni 2.44-2.46, 2 Cr 2.49
Ni 0.5000 0.0000 0.0000  4 Cr 2.49, 8 Ni 2.51
Ni 0.0000 0.5000 0.5000  4 Cr 2.49, 8 Ni 2.51
Ni 0.5000 0.0000 0.5000  8 Ni 2.44-2.46, 2 Cr 2.49
Ni 0.0000 0.5000 0.0000  8 Ni 2.44-2.46, 2 Cr 2.49
Ni 0.8852 0.3704 0.3704  7 Ni 2.44-2.55, 3 Cr 2.46-2.56, 1 Mo 2.56
Ni 0.1148 0.6296 0.6296  7 Ni 2.44-2.55, 3 Cr 2.46-2.56, 1 Mo 2.56
Ni 0.3704 0.3740 0.8852  7 Ni 2.44-2.55, 3 Cr 2.46-2.56, 1 Mo 2.56
Ni 0.3740 0.3704 0.3704  7 Ni 2.44-2.55, 3 Cr 2.46-2.56, 1 Mo 2.56
Ni 0.6296 0.6260 0.1148  7 Ni 2.44-2.55, 3 Cr 2.46-2.56, 1 Mo 2.56
Ni 0.6260 0.6296 0.6296  7 Ni 2.44-2.55, 3 Cr 2.46-2.56, 1 Mo 2.56
Ni 0.3704 0.8852 0.3740  7 Ni 2.44-2.55, 3 Cr 2.46-2.56, 1 Mo 2.56
Ni 0.6296 0.1148 0.6260  7 Ni 2.44-2.55, 3 Cr 2.46-2.56, 1 Mo 2.56
Ni 0.0000 0.0000 0.0000  4 Cr 2.44, 8 Ni 2.51
Mo 0.5000 0.5000 0.5000  4 Cr 2.54, 8 Ni 2.56

## Properties
DOS(E_F)	1.36	states/eV/atom
crystal system	tetragonal
magnetic moment	5.9	μB per cell
DFT formation energy	0.099	eV/atom
symmetry	No. 139

***

The following is a PBE calculation of a relaxed structure of Cr3Ni12Mo, from the Alexandria database.

a b c (Å): 3.5776 3.5776 14.3400
angles (deg): 90.00 90.00 90.00
With the nearest neighbours (Å) after each atom.
Positions (direct):
Cr 0.0000 0.0000 0.2560  12 Ni 2.49-2.58
Cr 0.0000 0.0000 0.5000  12 Ni 2.51-2.53
Cr 0.0000 0.0000 0.7440  12 Ni 2.49-2.58
Ni 0.5000 0.5000 0.0000  4 Mo 2.53, 8 Ni 2.54
The page goes on:

  1. Optimization of homeopathic therapy by doing clinical trials comparing for example different schemes of treatments modalities that may test: Most effective remedy or remedies for a particular ailment, proper dose (number of pellets, times of administration), right potency, duration of treatment, follow ups. These trials must be done in medical sindromes where there is enough evidence of homeopathic effectivity and knowledge about a group of remedies already tested in a particular sindrome (i.e: asthma, influenza, diarreas etc);
  2. Placebo-control randomized trials testing homeopathy in different ailments;
  3. Case-Control studies, comparing a specific homeopathic remedy for a particular ailment against conventional medicen. (For example choose only Pulsatilla patients for asthma or bronchitis, against broncodilators and steroids) in a randomized clinical trial.